[Work order]
Could you search the notes further down for the word "eV" and return each line that has it?
[Given]
<<<
Molecular formula: C55H74BrGe2N3O2S2Ti
Method: DFT, ωB97M-V/def2-TZVPD

Values from the calculation:
- Electronic energy: -294662.8162 eV
- Kohn-Sham gap (spin up / spin down): 3.49 / 6.13 eV

ORCA input file:
```
! RIJCOSX wB97M-V def2-TZVPD def2/J DEFGRID3
* xyz -2 3
C 2.184 4.154 0.277
H 7.001 -0.216 -0.283
C 2.325 0.292 -2.913
C -3.890 -1.168 6.326
H 0.416 5.822 -0.456
H -1.912 4.562 -3.856
C -0.925 -3.448 -4.386
H 5.055 2.857 2.890
C 3.667 0.290 -3.360
H 2.467 -5.441 -0.887
H 5.213 0.342 3.029
C 1.985 0.366 -1.512
H -4.446 -1.014 7.243
H -0.681 -1.237 5.194
O 0.713 0.383 -1.191
H 2.422 -3.516 0.379
C 0.333 -4.487 -6.296
H -3.525 8.504 0.751
C -0.394 -5.484 4.279
H 1.296 4.387 -1.690
H -4.262 1.079 3.834
Br -2.360 0.012 -2.643
H 3.455 0.267 3.197
H -2.914 -3.324 -6.377
H -3.061 -0.245 0.966
C -4.559 -1.441 5.118
C -0.026 -3.351 -2.093
H -0.739 -4.022 0.394
C 1.761 -2.996 -0.321
C -3.855 -1.625 3.952
C -1.583 -2.253 -4.154
H 3.297 2.724 3.094
C 1.366 3.628 -0.905
H 0.836 0.243 -5.978
H 1.240 -5.919 -2.055
H 0.526 -5.211 0.749
H 0.948 -5.097 -5.633
C -1.376 3.160 -2.288
H -3.577 6.071 1.018
H -0.560 0.959 3.662
H -2.220 -4.683 3.477
H 1.173 -2.283 0.245
C 6.075 -0.385 0.272
H -2.171 -1.762 -4.916
C 1.633 0.258 -5.242
C -1.174 1.854 3.717
H 5.422 -1.032 -0.314
C -0.572 -3.340 3.200
H 1.907 2.793 -1.358
H 0.222 3.277 2.846
H -6.368 2.168 2.798
H 4.383 2.227 4.406
H -1.155 -6.163 -4.691
H -0.025 -0.650 2.712
C -2.439 -1.525 3.941
H -1.486 9.631 -0.101
H 6.023 1.624 1.077
C -0.439 6.409 -0.164
C -2.647 7.918 0.498
H 1.248 -2.203 3.070
C -0.788 -2.168 -1.804
C 5.358 0.938 0.539
H -1.863 -6.154 -6.317
H 0.524 2.931 4.549
H -5.532 1.030 1.729
H -2.895 4.481 2.203
H 1.567 -6.024 4.996
N 3.006 0.434 -0.627
H -0.639 -5.504 -0.561
H -5.643 -1.485 5.098
H -1.452 -2.515 -6.972
C -2.496 0.653 0.695
Ti -0.477 0.198 0.196
H 3.203 0.291 -6.723
C 1.316 0.262 -3.898
C -1.054 -4.228 -5.689
C 1.798 -5.065 -1.663
C 0.866 -4.018 -1.043
C -2.670 6.542 0.663
C -4.216 1.953 3.181
H 2.370 -2.445 -1.043
C 4.253 2.253 3.321
H 1.652 4.930 0.834
C -1.740 -5.572 -5.397
C -2.487 -1.103 6.324
N -0.620 -0.960 1.952
H 2.406 -4.634 -2.462
C -1.553 5.749 0.363
H 0.851 -3.541 -6.464
H -1.961 -0.891 7.249
H -0.839 2.531 -3.006
S -1.623 -2.102 2.480
C 4.272 0.831 2.753
H 4.454 0.295 -2.621
H -2.726 -5.403 -4.959
H 0.238 -5.010 -7.252
H -3.049 1.172 -0.095
C -1.475 4.577 -2.851
C -1.894 -3.483 -6.730
C -1.159 -4.529 3.642
C 1.542 -4.074 4.083
C 3.970 0.289 -4.706
H -0.830 3.977 4.076
H -0.854 -6.405 4.618
C 2.928 0.665 0.654
H 3.145 4.575 -0.046
H -1.942 -4.075 -7.647
C -0.146 -3.942 -3.340
C -5.435 1.982 2.255
C -1.553 4.284 0.592
Ge -0.487 2.855 -0.472
C -1.514 8.554 0.013
C -0.263 3.084 3.804
C 0.967 -5.268 4.505
C 2.959 0.279 -5.667
H -5.323 2.766 1.499
N 4.147 0.771 1.312
S 1.506 0.890 1.632
H -2.101 5.210 -2.223
H -4.370 -1.829 3.018
H -4.218 2.835 3.832
C 0.787 -3.114 3.434
H -0.494 5.053 -2.925
H 0.475 8.255 -0.738
C -1.763 -1.286 5.169
O -0.858 -1.578 -0.638
H 2.400 3.345 0.973
H 5.010 0.303 -5.017
H 2.598 -3.899 4.254
H -1.778 1.764 4.624
Ge -2.472 1.934 2.176
H 0.278 0.254 -3.587
H 0.409 -4.855 -3.515
H -2.389 2.748 -2.209
C -1.486 -1.651 -2.917
C -0.412 7.783 -0.331
H 6.322 -0.888 1.210
C -2.325 3.790 1.571
C -0.052 -4.736 -0.049
H 5.090 1.397 -0.411
*
```
>>>
[Response]
- Electronic energy: -294662.8162 eV
- Kohn-Sham gap (spin up / spin down): 3.49 / 6.13 eV